Given
/*
{"formula": "C6H8N2", "method": "the ωB97M-V functional and the def2-TZVPD basis", "elements": ["C", "N", "C", "C", "C", "C", "C", "N", "H", "H", "H", "H", "H", "H", "H", "H"], "xyz": [[-0.037066, -0.302779, -1.769663], [-0.959447, -1.280373, -1.471425], [-1.253159, -1.331526, -0.143660], [-0.388626, -0.419335, 0.426749], [0.385402, 0.303112, -0.583352], [1.277132, 1.317266, 0.084122], [0.867140, 1.272156, 1.538421], [-0.024551, 0.153955, 1.664124], [0.182424, -0.153717, -2.853692], [-1.444601, -1.775205, -2.260885], [-2.100849, -1.855418, 0.266194], [1.220947, 2.318439, -0.366103], [2.267093, 0.923694, 0.040733], [1.758347, 1.196857, 2.124882], [0.440526, 2.190803, 1.698361], [-0.540847, 0.006100, 2.685914]], "atomic_forces_ev_per_a": [[0.7, 0.6, -0.4], [-0.6, -0.3, -3.1], [0.6, 0.7, 1.5], [0.7, 1.9, 0.2], [-2.2, -2.2, -0.3], [-0.1, -0.6, -1.6], [0.4, -1.1, -1.0], [-2.4, -1.7, 4.4], [0.0, 0.0, 1.3], [0.7, 0.8, 1.7], [0.2, -0.2, -0.1], [0.2, -0.3, 0.2], [1.1, 0.1, -0.5], [0.4, -0.2, 0.8], [-1.5, 2.2, 1.1], [1.7, 0.4, -4.2]], "homo_lumo_gap_ev": 7.947, "total_charge": 0, "energy_ev": -9330.1101}

~~~~~

No. 1
ORCA calculation (ωB97M-V with the def2-TZVPD basis set) on a 3-piece molecular cluster, C5H17NO2S overall in a non-equilibrium geometry.

The geometry in XYZ format:
```
26
Properties=species:S:1:pos:R:3:mulliken_charge:R:1
C -2.165 2.430 -0.388 -1.3559
C -1.633 1.169 -1.070 -0.2923
N -0.659 0.518 -0.186 -0.1037
C -0.496 -0.937 -0.426 0.1399
C -0.079 -1.245 -1.864 -1.3163
C 0.566 -1.417 0.589 -0.8341
S 0.145 -3.005 1.346 -0.2525
H -2.161 2.233 0.679 0.2987
H -1.421 3.220 -0.464 0.3061
H -3.132 2.834 -0.691 0.3592
H -1.175 1.463 -2.013 0.3015
H -2.477 0.489 -1.086 0.3931
H 0.251 0.956 -0.212 0.0173
H -1.458 -1.388 -0.165 0.4780
H 0.966 -0.952 -1.988 0.2534
H -0.298 -2.272 -2.139 0.3881
H -0.672 -0.663 -2.578 0.3810
H 1.552 -1.423 0.119 0.3690
H 0.704 -0.639 1.333 0.4142
H 0.192 -2.635 2.629 0.1302
O 2.738 1.347 -0.569 -0.6354
H 2.100 1.986 -0.223 0.2899
H 2.616 1.395 -1.524 0.3286
O 0.807 2.901 1.067 -0.6256
H 1.467 3.134 1.728 0.2799
H -0.044 2.783 1.497 0.2877
```

Computed properties:
**LUMO**: 0.0194 hartree
**Energy relative to the best compared isomer or geometry (same formula, charge and spin)**: 0.0000 eV
**Largest force on an atom**: 1.43 eV/Å
**Total energy**: -804.09931 hartree
**Kohn-Sham gap**: 9.156 eV



No. 2
ORCA calculation (ωB97M-V with the def2-TZVPD basis set) on C7H5BrF4 in the gas phase in a non-equilibrium geometry.

The geometry in XYZ format:
```
17
Properties=species:S:1:pos:R:3:mulliken_charge:R:1
F -1.662 2.041 -1.138 -0.2814
C -0.671 1.747 -0.277 0.8556
F -1.264 1.402 0.874 -0.2646
F -0.013 2.887 -0.049 -0.2619
C 0.220 0.654 -0.834 -0.6087
C -0.577 -0.540 -1.238 -0.5668
C -0.841 -1.536 -0.393 -0.2840
C -0.369 -1.555 0.979 -0.1655
C 0.628 -0.783 1.414 -0.6738
C 1.348 0.121 0.497 0.4448
F 1.855 1.214 1.075 -0.2983
Br 2.820 -0.811 -0.432 -0.1385
H 0.852 1.060 -1.622 0.5340
H -0.993 -0.511 -2.233 0.4411
H -1.447 -2.367 -0.718 0.4014
H -0.875 -2.217 1.664 0.4452
H 0.990 -0.807 2.431 0.4215
```

Computed properties:
**LUMO**: -0.0063 hartree
**Energy relative to the best compared isomer or geometry (same formula, charge and spin)**: 0.0000 eV
**Largest force on an atom**: 4.20 eV/Å
**Total energy**: -3243.18607 hartree
**Kohn-Sham gap**: 9.174 eV



No. 3
ORCA calculation (ωB97M-V with the def2-TZVPD basis set) on C30H75HgO15 as an isolated structure in a non-equilibrium geometry.

The geometry in XYZ format:
```
121
Properties=species:S:1:pos:R:3:mulliken_charge:R:1
Hg -0.939 0.796 0.643 1.4773
C 1.534 2.823 -1.925 -1.5555
C 0.524 2.673 -0.822 0.1814
O -0.207 1.446 -1.057 -0.4666
H 1.096 2.779 -2.941 0.1798
H 2.138 1.987 -1.855 0.3493
H 2.125 3.748 -1.742 0.3864
H -0.145 3.453 -0.859 0.3699
H 0.920 2.707 0.203 0.1157
C 2.514 -5.593 3.564 -0.7812
O 3.009 -4.278 3.260 -0.0899
C 4.403 -4.235 3.708 -0.4539
C 5.009 -2.965 3.079 -0.7607
O 4.575 -1.699 3.613 -0.2178
C 5.243 -1.336 4.776 -0.8316
*/

Brief
It remains to search the notes further above for the word "an" and repeat each line that has it.

Completed
**Largest force on an atom**: 1.43 eV/Å
**Largest force on an atom**: 4.20 eV/Å
ORCA calculation (ωB97M-V with the def2-TZVPD basis set) on C30H75HgO15 as an isolated structure in a non-equilibrium geometry.